The Ten Commandments for 2020

Arulnathan John
6 min readMay 15, 2020
The text may seem irrelevant, but The Decalogue is as important today as it was in those ancient times

Although the code may seem to not be relevant for this modern era, research shows that it still stands the test of time today.

In an era where reason and science hold sway, especially with the dominance of principles of psychology and medicine, many people have lost touch with the scriptural bases of their beliefs and those of their parents and ancestors.

With the ascendance of the rule of law, many practices that dated back to when we were desert wanderers and nomads may seem to be of little or no relevance.

Take The 10 Commandments for example. The code, which the God of Israel revealed to Moses as a basis for the leadership of the then fledgling nation of Israel, was designed with many aspects more suited for the nomadic and desert-based lifestyle and culture that was prevalent in those times.

But many have deemed the Commandments (also known as The Decalogue) as being of little or no relevance in modern cosmopolitan Israel and the global situation that we are part of today.

Or is it? Dig a little deeper, and with a little introspection, you will realise that the 10 Commandments are as relevant and meaningful as they were when they were first formed those millennia ago.

Consider each commandment in turn:

Do not worship any other gods/Do not make any idols — Many followers of monotheistic religions have no issue with this aspect. But a deeper consideration is relevant. If a god is anything or anyone that commands our primary attention, would our conscience be completely clear in this regard?

How many of us claim to be followers of one God but willingly sacrifice to the altar of long work hours and other events that take precedence over the needs of our loved ones and families? Our most important ministry begins with the ones we love first, then to others. If our own house is not in order, how can we advise others to repair their own?

Do not misuse the name of God — While swear words that include the name of God are commonly said and heard to the extent that many of us think little of them, I believe that there is a deeper instruction here. Just as God is just and holy, so should we also be just and honourable in all our personal dealings.

=====
## CsMg6BO8 (PBE-GGA)

Data for crystalline CsMg6BO8 at its relaxed geometry.

a = 4.411 Å, b = 4.411 Å, c = 9.664 Å
α = 90.00°, β = 90.00°, γ = 90.00°
Fractional coordinates of all 16 atoms:
1 Cs 0.000 0.000 0.000
2 Mg 0.000 0.000 0.500
3 Mg 0.000 0.500 0.284
4 Mg 0.000 0.500 0.716
5 Mg 0.500 0.000 0.284
6 Mg 0.500 0.000 0.716
7 Mg 0.500 0.500 0.500
8 B 0.500 0.500 0.000
9 O 0.000 0.000 0.289
10 O 0.000 0.000 0.711
11 O 0.000 0.500 0.000
12 O 0.000 0.500 0.500
13 O 0.500 0.000 0.000
14 O 0.500 0.000 0.500
15 O 0.500 0.500 0.277
16 O 0.500 0.500 0.723

Properties
M_tot   0.0 μB/f.u.
Crystal system   tetragonal
E_form   -1.941 eV/atom
Polymorph energy (0 for the lowest one)   0.3464 eV/atom

~~~~~

Record 1
VASP calculation (PBE) on crystalline K3W2Cl9 at its relaxed geometry.

Computed properties:
Calculated formation energy ... -1.6982 eV/atom
MP2020-corrected energy ... -139.3 eV/cell
Space-group type ... P6_3/m, No. 176
Total energy ... -4.58 eV/atom
Density ... 3422 kg/m3

a = 7.4333 Å, b = 7.4333 Å, c = 16.3052 Å
α = 90.00°, β = 90.00°, γ = 120.00°
Atoms (fractional coordinates):
K 0.0000 0.0000 0.2500
K 0.0000 0.0000 0.7500
K 0.3333 0.6667 0.0711
K 0.3333 0.6667 0.4289
K 0.6667 0.3333 0.5711
K 0.6667 0.3333 0.9289
W 0.3333 0.6667 0.6771
W 0.3333 0.6667 0.8229
W 0.6667 0.3333 0.1771
W 0.6667 0.3333 0.3229
Cl 0.0072 0.4391 0.2500
Cl 0.1214 0.3593 0.5964
Cl 0.1214 0.3593 0.9036
Cl 0.2379 0.8786 0.5964
Cl 0.2379 0.8786 0.9036
Cl 0.3593 0.2379 0.0964
Cl 0.3593 0.2379 0.4036
Cl 0.4318 0.9928 0.2500
Cl 0.4391 0.4318 0.7500
Cl 0.5609 0.5682 0.2500
Cl 0.5682 0.0072 0.7500
Cl 0.6407 0.7621 0.5964
Cl 0.6407 0.7621 0.9036
Cl 0.7621 0.1214 0.0964
Cl 0.7621 0.1214 0.4036
Cl 0.8786 0.6407 0.0964
Cl 0.8786 0.6407 0.4036
Cl 0.9928 0.5609 0.7500


Record 2
VASP calculation (PBE) on crystalline Cs2Mn3S4 at its relaxed geometry.

Computed properties:
Calculated formation energy ... -1.0205 eV/atom
MP2020-corrected energy ... -110.0 eV/cell
Polymorph energy (0 for the lowest one) ... 0.0000 eV per atom
Space-group type ... Ibam, No. 72
Total energy ... -5.89 eV/atom
Density ... 3648 kg/m3

a = 9.6976 Å, b = 9.6976 Å, c = 9.6976 Å
α = 143.17°, β = 105.96°, γ = 85.68°
Atoms (fractional coordinates):
Cs 0.1202 0.2372 0.3574
Cs 0.3798 0.7372 0.1170
Cs 0.6202 0.2628 0.8830
Cs 0.8798 0.7628 0.6426
Mn 0.0249 0.2500 0.7749
Mn 0.2500 0.7500 0.5000
Mn 0.4751 0.2500 0.2251
Mn 0.5249 0.7500 0.7749
Mn 0.7500 0.2500 0.5000
Mn 0.9751 0.7500 0.2251
S 0.0211 0.4398 0.1485
S 0.2087 0.0602 0.5813
S 0.2913 0.8726 0.8515
S 0.4789 0.6274 0.4187
S 0.5211 0.3726 0.5813
S 0.7087 0.1274 0.1485
S 0.7913 0.9398 0.4187
S 0.9789 0.5602 0.8515


Record 3
VASP calculation (PBE) on crystalline Re3O10 at its relaxed geometry.

Computed properties:
Calculated formation energy ... -1.0732 eV/atom
MP2020-corrected energy ... -100.8 eV/cell
Space-group type ... C2, No. 5
Total energy ... -7.63 eV/atom
Density ... 5492 kg/m3

a = 5.2980 Å, b = 5.2980 Å, c = 8.4005 Å
=====

One particular area of concern is in promises made and kept. If you promise something, keep it. Honour your word or do not make those promises in the first place.

An old family friend shared how in Singapore before World War 2, businessmen often did business solely on the bases of handshakes and spoken words. If a businessman (also called a towkay) told a customer that two sacks of rice would be delivered by Saturday, and handshakes were made, that was as good and binding as a contract. The sacks would be at the customer’s home on or by Saturday, without a doubt. Words were bonds, a custom that we would do well to learn from today in this era of contracts and acrimonious litigations.

Keep the Sabbath holy — This is more than a religious injunction but has definite health benefits. With increased connectivity and the easy availability of smartphones and tablets, everyone is easily connected and contactable.

But is that productive? Just as farmland needs to rest after constant use so as to replenish its natural soil nutrient layers, so human lives are not meant to be worked to the bone until we are utterly spent. The benefits of a day of rest and recreation are amply documented and largely undisputed. It need not be a weekend (as each of us has different work schedules) but a weekday can do just as well. A day to rest and recharge and focus on the Divine and Eternal would have nothing but benefits for individuals and families all around.

Honour your father and mother — In the Bible and Torah, this is the only commandment that is accompanied by a promise, namely that our days will be long on the earth, i.e. we are blessed with long and fruitful lives. No cultural or religious teachings exclude this major points, so its relevance is telling.

Honour does not equal blind obedience — we can honour our parents but are still expected to keep our moral and spiritual compass intact. If our parents command us to do something that is not in line with religious beliefs or the law of the land, we are to explain our stands with love and compassion and stick to our beliefs. This may be costly to you but you are still to accord your parents honour and respectful behaviour at all times.

Do not murder — It can be easy for many of us to effortlessly say that we have followed this commandment. But let us take it deeper — we may not have killed someone physically but what about emotionally or verbally?

Have we taken part in gossip or slander or character assassination? Have we failed to stand up for the mistreated or marginalised, thinking it was none of our concern? Christian liturgy accurately describes sin as ‘the evil we have done and the good we have not done’, so inaction is as wrong as ill-action.

Do not commit adultery — This may seem to be another clear ‘no-brainer’ but the number of cases reported in the media seems to suggest otherwise.

Even if we are innocent of the physical act, many of us cannot claim to be blameless in this regard. Does your partner highlight the inappropriate attention you may seem to spend with another friend, such as long talks or meetings without your partner being present? Or how about the text messages you have no problem sending to a friend of the opposite sex but you seem to be reticent to even say a simple “I love you” to your partner or spouse?

Where your treasure is, there your heart will be also. Adultery begins when we take our eyes off the actual treasure we have to chase after another treasure that is not assured or necessarily better, but just seems to be more attractive.

Do not steal — Many of us would be the first to say that we have never taken part in theft or shoplifting. But do we ‘steal’ in other ways?

How about the long hours we spend at the company water cooler or coffee machine, way past our allocated rest time? Or do we innocently take a few pieces of corporate stationery or pens and pencils, thinking that a few small items will not be missed? What about the time spend in long phone chats with friends to the neglect of our household duties? If push came to shove, could we truthfully say that we did ‘an honest day’s work for an honest day’s pay’?

[Attached: crystal structures]
____________
Entry 1:
Na5CuO4: optimized geometry, PBE-GGA.

Values from the calculation:
The crystal system is orthorhombic. The calculation puts the energy relative to the lowest polymorph listed for this composition at 0 meV/atom. The calculation puts the total magnetization at 16.00 μB/cell. For the formation energy, the calculation gives -1.37 eV/atom. Its symmetry is Pbca.

a = 5.9873 Å, b = 17.9632 Å, c = 10.4858 Å
α = 90.00°, β = 90.00°, γ = 90.00°
Last column: nearest neighbours and their distance in Å.
Sites, in units of the cell vectors:
Na 0.0756 0.0659 0.0641  3 O 2.26-2.33
Na 0.0756 0.4341 0.5641  3 O 2.26-2.33
Na 0.0785 0.1384 0.7960  4 O 2.39-2.45
Na 0.0785 0.3616 0.2960  4 O 2.39-2.45
Na 0.0855 0.5016 0.8424  4 O 2.36-2.51
Na 0.0855 0.9984 0.3424  4 O 2.36-2.51
Na 0.1017 0.6712 0.1709  4 O 2.29-2.42
Na 0.1017 0.8288 0.6709  4 O 2.29-2.42
Na 0.1027 0.7485 0.4209  4 O 2.38-2.45
Na 0.1027 0.7515 0.9209  4 O 2.38-2.45
Na 0.3973 0.2485 0.4209  4 O 2.38-2.45
Na 0.3973 0.2515 0.9209  4 O 2.38-2.45
Na 0.3983 0.1712 0.1709  4 O 2.29-2.42
Na 0.3983 0.3288 0.6709  4 O 2.29-2.42
Na 0.4145 0.0016 0.8424  4 O 2.36-2.51
Na 0.4145 0.4984 0.3424  4 O 2.36-2.51
Na 0.4215 0.6384 0.7960  4 O 2.39-2.45
Na 0.4215 0.8616 0.2960  4 O 2.39-2.45
Na 0.4244 0.5659 0.0641  3 O 2.26-2.33
Na 0.4244 0.9341 0.5641  3 O 2.26-2.33
Na 0.5756 0.0659 0.4359  3 O 2.26-2.33
Na 0.5756 0.4341 0.9359  3 O 2.26-2.33
Na 0.5785 0.1384 0.7040  4 O 2.39-2.45
Na 0.5785 0.3616 0.2040  4 O 2.39-2.45
Na 0.5855 0.5016 0.6576  4 O 2.36-2.51
Na 0.5855 0.9984 0.1576  4 O 2.36-2.51
Na 0.6017 0.6712 0.3291  4 O 2.29-2.42
Na 0.6017 0.8288 0.8291  4 O 2.29-2.42
Na 0.6027 0.7485 0.0791  4 O 2.38-2.45
Na 0.6027 0.7515 0.5791  4 O 2.38-2.45
Na 0.8973 0.2485 0.0791  4 O 2.38-2.45
Na 0.8973 0.2515 0.5791  4 O 2.38-2.45
Na 0.8983 0.1712 0.3291  4 O 2.29-2.42
Na 0.8983 0.3288 0.8291  4 O 2.29-2.42
Na 0.9145 0.0016 0.6576  4 O 2.36-2.51
Na 0.9145 0.4984 0.1576  4 O 2.36-2.51
Na 0.9215 0.6384 0.7040  4 O 2.39-2.45
Na 0.9215 0.8616 0.2040  4 O 2.39-2.45
Na 0.9244 0.5659 0.4359  3 O 2.26-2.33
Na 0.9244 0.9341 0.9359  3 O 2.26-2.33
Cu 0.1774 0.1226 0.5386  4 O 1.90-1.94
Cu 0.1774 0.3774 0.0386  4 O 1.90-1.94
Cu 0.3226 0.6226 0.5386  4 O 1.90-1.94
Cu 0.3226 0.8774 0.0386  4 O 1.90-1.94
Cu 0.6774 0.1226 0.9614  4 O 1.90-1.94
Cu 0.6774 0.3774 0.4614  4 O 1.90-1.94
Cu 0.8226 0.6226 0.9614  4 O 1.90-1.94
Cu 0.8226 0.8774 0.4614  4 O 1.90-1.94
O 0.1419 0.6212 0.9578  1 Cu 1.91
O 0.1419 0.8788 0.4578  1 Cu 1.91
O 0.1889 0.5460 0.6385  1 Cu 1.90
O 0.1889 0.9540 0.1385  1 Cu 1.90
O 0.2316 0.7111 0.6312  1 Cu 1.94
O 0.2316 0.7889 0.1312  1 Cu 1.94
O 0.2428 0.6252 0.3595  1 Cu 1.94
O 0.2428 0.8748 0.8595  1 Cu 1.94
O 0.2572 0.1252 0.3595  1 Cu 1.94
O 0.2572 0.3748 0.8595  1 Cu 1.94
O 0.2684 0.2111 0.6312  1 Cu 1.94
O 0.2684 0.2889 0.1312  1 Cu 1.94
O 0.3111 0.0460 0.6385  1 Cu 1.90
O 0.3111 0.4540 0.1385  1 Cu 1.90
O 0.3581 0.1212 0.9578  1 Cu 1.91
O 0.3581 0.3788 0.4578  1 Cu 1.91
O 0.6419 0.6212 0.5422  1 Cu 1.91
____________

Do not lie — Perhaps we do not lie but what about being ‘economical with the truth’? Do we say just enough to get the necessary approval for our plans, without disclosing the catches or possible pitfalls? Or do we reason that ‘this little lie will not hurt anyone’?

Have we couched our comments in platitudes but neglected to say the necessary constructive criticism for fear that we will crush the other party’s spirit? We must tell the truth in love but withholding necessary critique helps nobody in the long run.

Do not covet — Ambition to better oneself is commendable but there can be a thin line between greed and ambition. To this I say that as long as we have tried our best to give of our best in every way possible, we can be content that we have lived well. Many people have ruined their health and wealth chasing after the gold bling of this world only to realise that they were only trinkets.

Covetousness is linked to the holes in our souls. If our souls are content and filled with the right things, we will be able to see our need and greed in perspective and act correctly. It is easier said than done but early practice is good in this regard.

It is my hope that these words will resonate in our hearts (mine included) to recognise that, far from being irrelevant and old-fashioned, The 10 Commandments are anything but. In fact, they are the supreme foundation of justice and humanity for us all.



Arulnathan John

~~~
No. 1
Density functional theory data (GGA-PBE) for crystalline Rb2ZnCl4 at its relaxed geometry.

a = 9.4137 Å, b = 7.4010 Å, c = 12.9819 Å
α = 90.00°, β = 90.00°, γ = 90.00°
Space group Pnma (No. 62)
One atom of each set of equivalent atoms:
Rb1 0.0150 0.2500 0.1795
Rb2 0.1308 0.7500 0.4085
Zn1 0.2248 0.7500 0.0776
Cl1 0.0168 0.2500 0.9173
Cl2 0.1812 0.2500 0.4139
Cl3 0.1838 0.9999 0.6574

Raw total energy   -3.18 eV per atom

***

No. 2
Density functional theory data (GGA-PBE) for crystalline Rb2ZnCl4 at its relaxed geometry.

a = 9.3803 Å, b = 12.9577 Å, c = 7.4029 Å
α = 90.00°, β = 90.00°, γ = 90.00°
Space group Pna2_1 (No. 33)
One atom of each set of equivalent atoms:
Rb1 0.0128 0.1794 0.0000
Rb2 0.1288 0.4073 0.4994
Zn1 0.2231 0.0784 0.5019
Cl1 0.0182 0.9198 0.0041
Cl2 0.1779 0.4164 0.9950
Cl3 0.1849 0.6566 0.2521
Cl4 0.1910 0.6639 0.7552

Maximum piezoelectric response   0.14 C/m²
Raw total energy   -3.18 eV per atom

***

No. 3
Density functional theory data (GGA-PBE) for crystalline Rb2ZnCl4 at its relaxed geometry.

a = 28.1918 Å, b = 12.9828 Å, c = 7.6130 Å
α = 90.00°, β = 90.00°, γ = 90.00°
Space group Pna2_1 (No. 33)
One atom of each set of equivalent atoms:
Rb1 0.0000 0.1901 0.0000
Rb2 0.0442 0.4163 0.5127
Rb3 0.1181 0.9170 0.0289
Rb4 0.1674 0.3109 0.0766
Rb5 0.1668 0.6847 0.5616
Rb6 0.2118 0.0803 0.5735
Zn1 0.0727 0.0804 0.5458
Zn2 0.0949 0.5830 0.0163
Zn3 0.2412 0.4145 0.5599
Cl1 0.0042 0.9454 0.1228
Cl2 0.0555 0.4294 0.9660
Cl3 0.0673 0.7026 0.8182
Cl4 0.0722 0.6385 0.2891
Cl5 0.0820 0.1970 0.3240
Cl6 0.1103 0.1414 0.7964
Cl7 0.1114 0.9296 0.4751
Cl8 0.1633 0.4320 0.4896
Cl9 0.1738 0.5614 0.9786
Cl10 0.2215 0.0673 0.1302
Cl11 0.2216 0.8612 0.8039
Cl12 0.2457 0.7950 0.2746

Raw total energy   -3.18 eV per atom

***

No. 4
Density functional theory data (GGA-PBE) for crystalline ReCl6 at its relaxed geometry.

a = 6.2490 Å, b = 6.2490 Å, c = 17.0658 Å
α = 90.00°, β = 90.00°, γ = 120.00°
Space group R-3 (No. 148, hexagonal axes)
One atom of each set of equivalent atoms:
Re1 0.0000 0.0000 0.0000
Cl1 0.0050 0.7014 0.0777

Raw total energy   -3.90 eV per atom

***

No. 5
Density functional theory data (GGA-PBE) for crystalline ReSe2Cl12 at its relaxed geometry.

a = 12.0789 Å, b = 12.9722 Å, c = 21.8943 Å
α = 90.00°, β = 90.00°, γ = 90.00°
Space group Fdd2 (No. 43)
One atom of each set of equivalent atoms:
Re1 0.0000 0.0000 0.0000
Se1 0.0082 0.2768 0.9176
Cl1 0.1109 0.0765 0.9224
Cl2 0.1105 0.3493 0.4987
Cl3 0.1128 0.3309 0.9933
Cl4 0.1152 0.3369 0.8433
Cl5 0.1169 0.0754 0.0745
Cl6 0.1173 0.1005 0.4227

Raw total energy   -3.20 eV per atom

***

No. 6
Density functional theory data (GGA-PBE) for crystalline ReSe4Cl6 at its relaxed geometry.

a = 10.8172 Å, b = 11.2522 Å, c = 10.8408 Å
α = 90.00°, β = 90.00°, γ = 90.00°
Space group Pccn (No. 56)
One atom of each set of equivalent atoms:
Re1 0.0000 0.0000 0.0000
Se1 0.0884 0.0996 0.4274
Se2 0.1081 0.6020 0.9779
Cl1 0.0858 0.6579 0.6167
Cl2 0.1270 0.1356 0.1027
Cl3 0.1548 0.5264 0.3466
~~~

Loves storytelling in all its forms, from books to movies to videos and all else. Life is a story and I want to fill each chapter with life or lives well lived